**Job**
Transcribe all of the data further down character by character.

**Excerpt**
<<<
Diffraction record for YGeBiI2. The X-ray powder pattern is theoretical, not measured: it uses a crystal structure in Alexandria, relaxed with GGA-PBE and Cu Kα.
Peak positions follow from Bragg's law for the DFT cell and can differ from measured ones.

Crystal structure
```
YGeBiI2
1.0
5.9884 0.0000 0.0000
0.0000 5.9884 0.0000
0.0000 0.0000 6.2376
Y Ge Bi I
1 1 1 2
Direct
0.0000 0.0000 0.0000
0.5000 0.5000 0.0000
0.0000 0.0000 0.5000
0.0000 0.5000 0.5000
0.5000 0.0000 0.5000
```

Most intense lines, 15 to 90 degrees two-theta, sorted by position:
20.56 deg, intensity 45, (1 0 1); 28.62 deg, intensity 56, (0 0 2); 29.84 deg, intensity 100, (2 0 0); 41.82 deg, intensity 80, (2 0 2); 42.71 deg, intensity 38, (2 2 0); 52.22 deg, intensity 42, (2 2 2)



Diffraction record for GeBiIr. The X-ray powder pattern is theoretical, not measured: it uses a crystal structure in Alexandria, relaxed with GGA-PBE and Cu Kα.
Peak positions follow from Bragg's law for the DFT cell and can differ from measured ones.

Crystal structure
```
GeBiIr
1.0
6.4686 0.0000 0.0000
0.0000 6.4686 0.0000
0.0000 0.0000 6.4686
Ge Bi Ir
4 4 4
Direct
0.1677 0.1677 0.1677
0.3323 0.8323 0.6677
0.6677 0.3323 0.8323
0.8323 0.6677 0.3323
0.1912 0.3088 0.6912
0.3088 0.6912 0.1912
0.6912 0.1912 0.3088
0.8088 0.8088 0.8088
0.0457 0.9543 0.4543
0.4543 0.0457 0.9543
0.5457 0.5457 0.5457
0.9543 0.4543 0.0457
```

Most intense lines, 15 to 90 degrees two-theta, sorted by position:
23.83 deg, intensity 100, (1 1 1); 30.91 deg, intensity 83, (2 1 0); 33.95 deg, intensity 56, (2 1 1); 39.40 deg, intensity 80, (2 2 0); 41.90 deg, intensity 50, (2 2 1); 58.86 deg, intensity 47, (4 1 0)

----------

# 1
NaHg2ClO2: theoretical XRD peak list (a wavelength of 1.5418 Å), based on a DFT-relaxed cell (PBE, Alexandria).
Neutral-atom scattering factors, no anomalous dispersion.

Most intense lines, 5 to 70 degrees two-theta, in order of falling intensity:
2θ/deg	I_rel	h k l
15.6	100	2 0 0
27.8	45	0 0 2
44.1	45	2 2 2
33.5	39	2 2 0
31.2	35	3 1 1
32.1	29	2 0 2
45.0	29	5 1 1
40.9	22	0 2 2
42.6	21	4 0 2
31.6	20	4 0 0

Crystal structure
```
data_NaHg2ClO2
_chemical_formula_sum 'Na4 Hg8 Cl4 O8'
_space_group_name_H-M_alt 'C m c m'
_space_group_IT_number 63
_space_group_name_Hall '-C 2c 2'
_cell_length_a 11.338
_cell_length_b 6.076
_cell_length_c 6.408
_cell_angle_alpha 90.00
_cell_angle_beta 90.00
_cell_angle_gamma 90.00
loop_
_atom_site_label
_atom_site_fract_x
_atom_site_fract_y
_atom_site_fract_z
Na1 0.000 0.075 0.250
Hg1 0.219 0.287 0.750
Cl1 0.000 0.454 0.750
O1 0.174 0.000 0.000
```

# 2
SnP2: theoretical XRD peak list (a wavelength of 1.5418 Å), based on a DFT-relaxed cell (PBE, Alexandria).
Neutral-atom scattering factors, no anomalous dispersion.

Most intense lines, 5 to 70 degrees two-theta, in order of falling intensity:
2θ/deg	I_rel	h k l
26.6	100	0 1 1
29.2	69	1 0 -1
44.1	66	1 1 1
35.4	33	1 1 0
17.9	32	0 0 1
50.1	31	1 2 -1
41.5	23	0 1 2
39.8	23	0 2 0
64.3	17	2 1 0
54.4	15	1 0 2

Crystal structure
```
data_SnP2
_chemical_formula_sum 'Sn1 P2'
_space_group_name_H-M_alt 'P 1 2/m 1'
_space_group_IT_number 10
_cell_length_a 3.217
_cell_length_b 4.535
_cell_length_c 5.207
_cell_angle_alpha 90.00
_cell_angle_beta 107.90
_cell_angle_gamma 90.00
loop_
_space_group_symop_operation_xyz
'x,y,z'
'-x,-y,-z'
'-x,y,-z'
'x,-y,z'
loop_
_atom_site_label
_atom_site_fract_x
_atom_site_fract_y
_atom_site_fract_z
Sn1 0.000 0.000 0.000
P1 0.177 0.500 0.353
```

# 3
PmH3Ir: theoretical XRD peak list (a wavelength of 1.5418 Å), based on a DFT-relaxed cell (PBE, Alexandria).
Neutral-atom scattering factors, no anomalous dispersion.

Most intense lines, 5 to 70 degrees two-theta, in order of falling intensity:
2θ/deg	I_rel	h k l
37.1	100	3 1 -1
37.9	98	3 1 1
30.2	91	1 1 -1
30.5	86	1 1 1
37.5	71	0 0 2
30.7	58	4 0 0
15.2	44	2 0 0
46.0	41	0 2 0
60.8	35	0 2 2
60.3	32	7 1 0

Crystal structure
```
data_PmH3Ir
_chemical_formula_sum 'Pm4 H12 Ir4'
_space_group_name_H-M_alt 'C 1 m 1'
_space_group_IT_number 8
>>>

**Result**
Diffraction record for YGeBiI2. The X-ray powder pattern is theoretical, not measured: it uses a crystal structure in Alexandria, relaxed with GGA-PBE and Cu Kα.
Peak positions follow from Bragg's law for the DFT cell and can differ from measured ones.

Crystal structure
```
YGeBiI2
1.0
5.9884 0.0000 0.0000
0.0000 5.9884 0.0000
0.0000 0.0000 6.2376
Y Ge Bi I
1 1 1 2
Direct
0.0000 0.0000 0.0000
0.5000 0.5000 0.0000
0.0000 0.0000 0.5000
0.0000 0.5000 0.5000
0.5000 0.0000 0.5000
```

Most intense lines, 15 to 90 degrees two-theta, sorted by position:
20.56 deg, intensity 45, (1 0 1); 28.62 deg, intensity 56, (0 0 2); 29.84 deg, intensity 100, (2 0 0); 41.82 deg, intensity 80, (2 0 2); 42.71 deg, intensity 38, (2 2 0); 52.22 deg, intensity 42, (2 2 2)



Diffraction record for GeBiIr. The X-ray powder pattern is theoretical, not measured: it uses a crystal structure in Alexandria, relaxed with GGA-PBE and Cu Kα.
Peak positions follow from Bragg's law for the DFT cell and can differ from measured ones.

Crystal structure
```
GeBiIr
1.0
6.4686 0.0000 0.0000
0.0000 6.4686 0.0000
0.0000 0.0000 6.4686
Ge Bi Ir
4 4 4
Direct
0.1677 0.1677 0.1677
0.3323 0.8323 0.6677
0.6677 0.3323 0.8323
0.8323 0.6677 0.3323
0.1912 0.3088 0.6912
0.3088 0.6912 0.1912
0.6912 0.1912 0.3088
0.8088 0.8088 0.8088
0.0457 0.9543 0.4543
0.4543 0.0457 0.9543
0.5457 0.5457 0.5457
0.9543 0.4543 0.0457
```

Most intense lines, 15 to 90 degrees two-theta, sorted by position:
23.83 deg, intensity 100, (1 1 1); 30.91 deg, intensity 83, (2 1 0); 33.95 deg, intensity 56, (2 1 1); 39.40 deg, intensity 80, (2 2 0); 41.90 deg, intensity 50, (2 2 1); 58.86 deg, intensity 47, (4 1 0)

----------

# 1
NaHg2ClO2: theoretical XRD peak list (a wavelength of 1.5418 Å), based on a DFT-relaxed cell (PBE, Alexandria).
Neutral-atom scattering factors, no anomalous dispersion.

Most intense lines, 5 to 70 degrees two-theta, in order of falling intensity:
2θ/deg	I_rel	h k l
15.6	100	2 0 0
27.8	45	0 0 2
44.1	45	2 2 2
33.5	39	2 2 0
31.2	35	3 1 1
32.1	29	2 0 2
45.0	29	5 1 1
40.9	22	0 2 2
42.6	21	4 0 2
31.6	20	4 0 0

Crystal structure
```
data_NaHg2ClO2
_chemical_formula_sum 'Na4 Hg8 Cl4 O8'
_space_group_name_H-M_alt 'C m c m'
_space_group_IT_number 63
_space_group_name_Hall '-C 2c 2'
_cell_length_a 11.338
_cell_length_b 6.076
_cell_length_c 6.408
_cell_angle_alpha 90.00
_cell_angle_beta 90.00
_cell_angle_gamma 90.00
loop_
_atom_site_label
_atom_site_fract_x
_atom_site_fract_y
_atom_site_fract_z
Na1 0.000 0.075 0.250
Hg1 0.219 0.287 0.750
Cl1 0.000 0.454 0.750
O1 0.174 0.000 0.000
```

# 2
SnP2: theoretical XRD peak list (a wavelength of 1.5418 Å), based on a DFT-relaxed cell (PBE, Alexandria).
Neutral-atom scattering factors, no anomalous dispersion.

Most intense lines, 5 to 70 degrees two-theta, in order of falling intensity:
2θ/deg	I_rel	h k l
26.6	100	0 1 1
29.2	69	1 0 -1
44.1	66	1 1 1
35.4	33	1 1 0
17.9	32	0 0 1
50.1	31	1 2 -1
41.5	23	0 1 2
39.8	23	0 2 0
64.3	17	2 1 0
54.4	15	1 0 2

Crystal structure
```
data_SnP2
_chemical_formula_sum 'Sn1 P2'
_space_group_name_H-M_alt 'P 1 2/m 1'
_space_group_IT_number 10
_cell_length_a 3.217
_cell_length_b 4.535
_cell_length_c 5.207
_cell_angle_alpha 90.00
_cell_angle_beta 107.90
_cell_angle_gamma 90.00
loop_
_space_group_symop_operation_xyz
'x,y,z'
'-x,-y,-z'
'-x,y,-z'
'x,-y,z'
loop_
_atom_site_label
_atom_site_fract_x
_atom_site_fract_y
_atom_site_fract_z
Sn1 0.000 0.000 0.000
P1 0.177 0.500 0.353
```

# 3
PmH3Ir: theoretical XRD peak list (a wavelength of 1.5418 Å), based on a DFT-relaxed cell (PBE, Alexandria).
Neutral-atom scattering factors, no anomalous dispersion.

Most intense lines, 5 to 70 degrees two-theta, in order of falling intensity:
2θ/deg	I_rel	h k l
37.1	100	3 1 -1
37.9	98	3 1 1
30.2	91	1 1 -1
30.5	86	1 1 1
37.5	71	0 0 2
30.7	58	4 0 0
15.2	44	2 0 0
46.0	41	0 2 0
60.8	35	0 2 2
60.3	32	7 1 0

Crystal structure
```
data_PmH3Ir
_chemical_formula_sum 'Pm4 H12 Ir4'
_space_group_name_H-M_alt 'C 1 m 1'
_space_group_IT_number 8